-- Source --
Record 1
# PBEsol CaPdO2, relaxed
# DOS at the Fermi energy: 0.409 states/eV per atom
# Final energy: -92.747 eV for the cell shown
data_CaPdO2
_space_group_name_H-M_alt 'F m -3 m'
_space_group_IT_number 225
_space_group_name_Hall '-F 4 2 3'
_cell_length_a 5.684
_cell_length_b 5.684
_cell_length_c 5.684
_cell_angle_alpha 90.00
_cell_angle_beta 90.00
_cell_angle_gamma 90.00
loop_
_atom_site_label
_atom_site_type_symbol
_atom_site_fract_x
_atom_site_fract_y
_atom_site_fract_z
Ca1 Ca 0.000 0.000 0.000
Pd1 Pd 0.000 0.000 0.500
O1 O 0.250 0.250 0.250


Record 2
# PBEsol CaPd3O4, relaxed
# DOS at the Fermi energy: 0.141 states/eV per atom
# Final energy: -101.687 eV for the cell shown
data_CaPd3O4
_space_group_name_H-M_alt 'P m -3 n'
_space_group_IT_number 223
_space_group_name_Hall '-P 4n 2 3'
_cell_length_a 5.727
_cell_length_b 5.727
_cell_length_c 5.727
_cell_angle_alpha 90.00
_cell_angle_beta 90.00
_cell_angle_gamma 90.00
loop_
_atom_site_label
_atom_site_type_symbol
_atom_site_fract_x
_atom_site_fract_y
_atom_site_fract_z
Ca1 Ca 0.000 0.000 0.000
Pd1 Pd 0.000 0.250 0.500
O1 O 0.250 0.250 0.250


Copy entry 2 word for word.
# PBEsol CaPd3O4, relaxed
# DOS at the Fermi energy: 0.141 states/eV per atom
# Final energy: -101.687 eV for the cell shown
data_CaPd3O4
_space_group_name_H-M_alt 'P m -3 n'
_space_group_IT_number 223
_space_group_name_Hall '-P 4n 2 3'
_cell_length_a 5.727
_cell_length_b 5.727
_cell_length_c 5.727
_cell_angle_alpha 90.00
_cell_angle_beta 90.00
_cell_angle_gamma 90.00
loop_
_atom_site_label
_atom_site_type_symbol
_atom_site_fract_x
_atom_site_fract_y
_atom_site_fract_z
Ca1 Ca 0.000 0.000 0.000
Pd1 Pd 0.000 0.250 0.500
O1 O 0.250 0.250 0.250


- What is the DOS at the Fermi energy in the second record?
  0.141 states/eV per atom

~~~~~

First-principles (GGA-PBE) data for a geometry-optimized MgP2Pt structure, as listed in the Alexandria database.

Unit cell a=3.7252 b=3.7252 c=6.1677 alpha=72.42 beta=72.42 gamma=60.25
Fractional positions:
1 P 0.4840 0.4840 0.5464
2 P 0.0160 0.0160 0.9536
3 Pt 0.7500 0.7500 0.7500
4 Mg 0.2500 0.2500 0.2500

As for the formation energy: -0.381 eV per atom. Its total magnetic moment is 0.0 μB per cell.

-- Assignment --
The reader should duplicate the whole of the material further above word for word.

-- Response --
Record 1
# PBEsol CaPdO2, relaxed
# DOS at the Fermi energy: 0.409 states/eV per atom
# Final energy: -92.747 eV for the cell shown
data_CaPdO2
_space_group_name_H-M_alt 'F m -3 m'
_space_group_IT_number 225
_space_group_name_Hall '-F 4 2 3'
_cell_length_a 5.684
_cell_length_b 5.684
_cell_length_c 5.684
_cell_angle_alpha 90.00
_cell_angle_beta 90.00
_cell_angle_gamma 90.00
loop_
_atom_site_label
_atom_site_type_symbol
_atom_site_fract_x
_atom_site_fract_y
_atom_site_fract_z
Ca1 Ca 0.000 0.000 0.000
Pd1 Pd 0.000 0.000 0.500
O1 O 0.250 0.250 0.250


Record 2
# PBEsol CaPd3O4, relaxed
# DOS at the Fermi energy: 0.141 states/eV per atom
# Final energy: -101.687 eV for the cell shown
data_CaPd3O4
_space_group_name_H-M_alt 'P m -3 n'
_space_group_IT_number 223
_space_group_name_Hall '-P 4n 2 3'
_cell_length_a 5.727
_cell_length_b 5.727
_cell_length_c 5.727
_cell_angle_alpha 90.00
_cell_angle_beta 90.00
_cell_angle_gamma 90.00
loop_
_atom_site_label
_atom_site_type_symbol
_atom_site_fract_x
_atom_site_fract_y
_atom_site_fract_z
Ca1 Ca 0.000 0.000 0.000
Pd1 Pd 0.000 0.250 0.500
O1 O 0.250 0.250 0.250


Copy entry 2 word for word.
# PBEsol CaPd3O4, relaxed
# DOS at the Fermi energy: 0.141 states/eV per atom
# Final energy: -101.687 eV for the cell shown
data_CaPd3O4
_space_group_name_H-M_alt 'P m -3 n'
_space_group_IT_number 223
_space_group_name_Hall '-P 4n 2 3'
_cell_length_a 5.727
_cell_length_b 5.727
_cell_length_c 5.727
_cell_angle_alpha 90.00
_cell_angle_beta 90.00
_cell_angle_gamma 90.00
loop_
_atom_site_label
_atom_site_type_symbol
_atom_site_fract_x
_atom_site_fract_y
_atom_site_fract_z
Ca1 Ca 0.000 0.000 0.000
Pd1 Pd 0.000 0.250 0.500
O1 O 0.250 0.250 0.250


- What is the DOS at the Fermi energy in the second record?
  0.141 states/eV per atom

~~~~~

First-principles (GGA-PBE) data for a geometry-optimized MgP2Pt structure, as listed in the Alexandria database.

Unit cell a=3.7252 b=3.7252 c=6.1677 alpha=72.42 beta=72.42 gamma=60.25
Fractional positions:
1 P 0.4840 0.4840 0.5464
2 P 0.0160 0.0160 0.9536
3 Pt 0.7500 0.7500 0.7500
4 Mg 0.2500 0.2500 0.2500

As for the formation energy: -0.381 eV per atom. Its total magnetic moment is 0.0 μB per cell.